Input =
For LiZn4Sb, the PBE geometry in Alexandria gives the theoretical powder diffraction line list in this record (copper Kα).
Lines closer than 0.1° are merged.

The 10 most intense peaks (5 to 70 degrees two-theta), by intensity:
Position (°2θ)  I (rel.)
39.62  100
41.46  46
64.14  31
20.39  28
23.59  23
33.60  21
54.39  8
60.08  8
52.90  7
48.25  6

Crystal structure
Lattice parameters (Å, degrees): 5.3347 5.3347 5.3347 60.00 60.00 60.00
Fractional positions:
Li 0.0000 0.0000 0.0000
Zn 0.3743 0.3743 0.3743
Zn 0.3743 0.3743 0.8770
Zn 0.3743 0.8770 0.3743
Zn 0.8770 0.3743 0.3743
Sb 0.7500 0.7500 0.7500


Theoretical XRD peak list of Ce2MgNb2O8 for Cu Ka, from a PBE-relaxed structure.
Lines closer than 0.1° are merged.

Top 10 peaks for 2θ from 10° to 80°, by angle:
hkl  2θ (°)  I (rel.)
1 -1 1  26.8  57
-1 1 1  26.9  56
1 1 -2  28.1  100
0 0 2  30.8  29
0 2 -1  31.4  33
2 0 -1  33.2  23
0 2 -3  44.6  38
2 -2 0  44.8  24
2 2 -2  47.9  21
1 -3 2  52.5  26

Cell and atoms:
a = 5.4097 Å, b = 5.7023 Å, c = 6.9229 Å
α = 112.82°, β = 111.08°, γ = 93.66°
Element x y z (fractional)
Ce 0.0000 0.0000 0.0000
Ce 0.2420 0.7406 0.4852
Mg 0.2860 0.2843 0.5734
Nb 0.5171 0.5205 0.0345
Nb 0.7887 0.2886 0.5787
O 0.0532 0.0780 0.6751
O 0.2055 0.6118 0.8235
O 0.3226 0.4203 0.1824
O 0.4115 0.0277 0.3528
O 0.6149 0.2124 0.8245
O 0.6196 0.5957 0.6767
O 0.8626 0.7613 0.1829
O 0.9444 0.3223 0.3532
To do =
It remains to duplicate the lines above up to the one that holds "0.3532", that line included.
Written answer =
For LiZn4Sb, the PBE geometry in Alexandria gives the theoretical powder diffraction line list in this record (copper Kα).
Lines closer than 0.1° are merged.

The 10 most intense peaks (5 to 70 degrees two-theta), by intensity:
Position (°2θ)  I (rel.)
39.62  100
41.46  46
64.14  31
20.39  28
23.59  23
33.60  21
54.39  8
60.08  8
52.90  7
48.25  6

Crystal structure
Lattice parameters (Å, degrees): 5.3347 5.3347 5.3347 60.00 60.00 60.00
Fractional positions:
Li 0.0000 0.0000 0.0000
Zn 0.3743 0.3743 0.3743
Zn 0.3743 0.3743 0.8770
Zn 0.3743 0.8770 0.3743
Zn 0.8770 0.3743 0.3743
Sb 0.7500 0.7500 0.7500


Theoretical XRD peak list of Ce2MgNb2O8 for Cu Ka, from a PBE-relaxed structure.
Lines closer than 0.1° are merged.

Top 10 peaks for 2θ from 10° to 80°, by angle:
hkl  2θ (°)  I (rel.)
1 -1 1  26.8  57
-1 1 1  26.9  56
1 1 -2  28.1  100
0 0 2  30.8  29
0 2 -1  31.4  33
2 0 -1  33.2  23
0 2 -3  44.6  38
2 -2 0  44.8  24
2 2 -2  47.9  21
1 -3 2  52.5  26

Cell and atoms:
a = 5.4097 Å, b = 5.7023 Å, c = 6.9229 Å
α = 112.82°, β = 111.08°, γ = 93.66°
Element x y z (fractional)
Ce 0.0000 0.0000 0.0000
Ce 0.2420 0.7406 0.4852
Mg 0.2860 0.2843 0.5734
Nb 0.5171 0.5205 0.0345
Nb 0.7887 0.2886 0.5787
O 0.0532 0.0780 0.6751
O 0.2055 0.6118 0.8235
O 0.3226 0.4203 0.1824
O 0.4115 0.0277 0.3528
O 0.6149 0.2124 0.8245
O 0.6196 0.5957 0.6767
O 0.8626 0.7613 0.1829
O 0.9444 0.3223 0.3532